[Contents]
<<<
(1)
This entry pairs a crystal structure of CdSb2Se3Br2 with its simulated powder XRD pattern. Radiation: CuKα. Structure: DFT lattice parameters and positions (PBE).
No peak broadening, texture or thermal motion is included.

Cell and atoms:
```
data_CdSb2Se3Br2
_space_group_name_H-M_alt 'C 1 2/m 1'
_space_group_IT_number 12
_space_group_name_Hall '-C 2y'
_cell_length_a 21.463
_cell_length_b 4.089
_cell_length_c 12.493
_cell_angle_alpha 90.00
_cell_angle_beta 119.79
_cell_angle_gamma 90.00
loop_
_atom_site_label
_atom_site_type_symbol
_atom_site_fract_x
_atom_site_fract_y
_atom_site_fract_z
Cd1 Cd 0.150 0.000 0.452
Sb1 Sb 0.048 0.500 0.784
Sb2 Sb 0.205 0.000 0.090
Se1 Se 0.037 0.000 0.216
Se2 Se 0.101 0.500 0.026
Se3 Se 0.179 0.000 0.861
Br1 Br 0.102 0.500 0.542
Br2 Br 0.211 0.500 0.352
```

Top 10 peaks for 2θ from 5° to 70°, low angle first:
- hkl 2 0 -2, 14.25°, d = 6.216 Å, I = 72
- hkl 3 1 -2, 26.78°, d = 3.328 Å, I = 32
- hkl 2 0 -4, 29.39°, d = 3.039 Å, I = 55
- hkl 3 1 1, 29.50°, d = 3.028 Å, I = 34
- hkl 5 1 -1, 30.42°, d = 2.939 Å, I = 74
- hkl 5 1 -2, 30.54°, d = 2.927 Å, I = 100
- hkl 4 0 2, 30.91°, d = 2.893 Å, I = 35
- hkl 5 1 0, 32.52°, d = 2.754 Å, I = 38
- hkl 5 1 -3, 32.86°, d = 2.725 Å, I = 56
- hkl 0 2 0, 44.30°, d = 2.045 Å, I = 65

---

(2)
This entry pairs a crystal structure of TaCd3Br6 with its simulated powder XRD pattern. Radiation: CuKα. Structure: DFT lattice parameters and positions (PBE).
No peak broadening, texture or thermal motion is included.

Cell and atoms:
```
data_TaCd3Br6
_space_group_name_H-M_alt 'P -3 1 m'
_space_group_IT_number 162
_space_group_name_Hall '-P 3 2'
_cell_length_a 6.2652
_cell_length_b 6.2652
_cell_length_c 8.6755
_cell_angle_alpha 90.00
_cell_angle_beta 90.00
_cell_angle_gamma 120.00
loop_
_atom_site_label
_atom_site_type_symbol
_atom_site_fract_x
_atom_site_fract_y
_atom_site_fract_z
Ta1 Ta 0.0000 0.0000 0.0000
Cd1 Cd 0.0000 0.0000 0.5000
Cd2 Cd 0.3333 0.6667 0.5000
Br1 Br 0.0000 0.3251 0.8283
```

Top 10 peaks for 2θ from 5° to 70°, low angle first:
- hkl 1 0 0, 16.34°, d = 5.426 Å, I = 22
- hkl 1 0 1, 19.29°, d = 4.600 Å, I = 28
- hkl 1 1 0, 28.49°, d = 3.133 Å, I = 12
- hkl 2 -1 1, 30.34°, d = 2.946 Å, I = 60
- hkl 0 0 3, 30.92°, d = 2.892 Å, I = 19
- hkl 1 1 2, 35.34°, d = 2.540 Å, I = 100
- hkl 3 0 0, 50.46°, d = 1.809 Å, I = 32
- hkl 2 -1 4, 51.23°, d = 1.783 Å, I = 32
- hkl 3 0 3, 60.36°, d = 1.533 Å, I = 15
- hkl 4 -2 2, 63.11°, d = 1.473 Å, I = 18

---

(3)
This entry pairs a crystal structure of Co2BrCl3 with its simulated powder XRD pattern. Radiation: CuKα. Structure: DFT lattice parameters and positions (PBE).
No peak broadening, texture or thermal motion is included.

Cell and atoms:
```
data_Co2BrCl3
_space_group_name_H-M_alt 'P 1 m 1'
_space_group_IT_number 6
_space_group_name_Hall 'P -2y'
_cell_length_a 6.155
_cell_length_b 3.529
_cell_length_c 6.366
_cell_angle_alpha 90.00
_cell_angle_beta 109.91
_cell_angle_gamma 90.00
loop_
_atom_site_label
_atom_site_type_symbol
_atom_site_fract_x
_atom_site_fract_y
_atom_site_fract_z
Co1 Co 0.000 0.000 0.000
Co2 Co 0.494 0.500 0.994
Br1 Br 0.751 0.000 0.248
Cl1 Cl 0.243 0.500 0.219
Cl2 Cl 0.253 0.000 0.775
Cl3 Cl 0.754 0.500 0.780
```

Top 10 peaks for 2θ from 5° to 70°, low angle first:
- hkl 0 0 1, 14.80°, d = 5.986 Å, I = 100
- hkl 2 0 -1, 29.36°, d = 3.042 Å, I = 15
- hkl 1 1 0, 29.65°, d = 3.013 Å, I = 27
- hkl 2 0 -2, 35.03°, d = 2.561 Å, I = 48
- hkl 1 1 1, 35.66°, d = 2.518 Å, I = 92
- hkl 1 1 -3, 50.16°, d = 1.819 Å, I = 30
- hkl 2 0 2, 50.81°, d = 1.797 Å, I = 15
- hkl 3 1 -1, 51.53°, d = 1.774 Å, I = 30
- hkl 0 2 0, 51.82°, d = 1.764 Å, I = 15
- hkl 2 2 -2, 64.09°, d = 1.453 Å, I = 14

---

(4)
This entry pairs a crystal structure of Co2Br3Cl with its simulated powder XRD pattern. Radiation: CuKα. Structure: DFT lattice parameters and positions (PBE).
No peak broadening, texture or thermal motion is included.

Cell and atoms:
```
data_Co2Br3Cl
_space_group_name_H-M_alt 'P m m 2'
>>>
[To do]
Print the calculation results above unchanged.
[Written answer]
(1)
This entry pairs a crystal structure of CdSb2Se3Br2 with its simulated powder XRD pattern. Radiation: CuKα. Structure: DFT lattice parameters and positions (PBE).
No peak broadening, texture or thermal motion is included.

Cell and atoms:
```
data_CdSb2Se3Br2
_space_group_name_H-M_alt 'C 1 2/m 1'
_space_group_IT_number 12
_space_group_name_Hall '-C 2y'
_cell_length_a 21.463
_cell_length_b 4.089
_cell_length_c 12.493
_cell_angle_alpha 90.00
_cell_angle_beta 119.79
_cell_angle_gamma 90.00
loop_
_atom_site_label
_atom_site_type_symbol
_atom_site_fract_x
_atom_site_fract_y
_atom_site_fract_z
Cd1 Cd 0.150 0.000 0.452
Sb1 Sb 0.048 0.500 0.784
Sb2 Sb 0.205 0.000 0.090
Se1 Se 0.037 0.000 0.216
Se2 Se 0.101 0.500 0.026
Se3 Se 0.179 0.000 0.861
Br1 Br 0.102 0.500 0.542
Br2 Br 0.211 0.500 0.352
```

Top 10 peaks for 2θ from 5° to 70°, low angle first:
- hkl 2 0 -2, 14.25°, d = 6.216 Å, I = 72
- hkl 3 1 -2, 26.78°, d = 3.328 Å, I = 32
- hkl 2 0 -4, 29.39°, d = 3.039 Å, I = 55
- hkl 3 1 1, 29.50°, d = 3.028 Å, I = 34
- hkl 5 1 -1, 30.42°, d = 2.939 Å, I = 74
- hkl 5 1 -2, 30.54°, d = 2.927 Å, I = 100
- hkl 4 0 2, 30.91°, d = 2.893 Å, I = 35
- hkl 5 1 0, 32.52°, d = 2.754 Å, I = 38
- hkl 5 1 -3, 32.86°, d = 2.725 Å, I = 56
- hkl 0 2 0, 44.30°, d = 2.045 Å, I = 65

---

(2)
This entry pairs a crystal structure of TaCd3Br6 with its simulated powder XRD pattern. Radiation: CuKα. Structure: DFT lattice parameters and positions (PBE).
No peak broadening, texture or thermal motion is included.

Cell and atoms:
```
data_TaCd3Br6
_space_group_name_H-M_alt 'P -3 1 m'
_space_group_IT_number 162
_space_group_name_Hall '-P 3 2'
_cell_length_a 6.2652
_cell_length_b 6.2652
_cell_length_c 8.6755
_cell_angle_alpha 90.00
_cell_angle_beta 90.00
_cell_angle_gamma 120.00
loop_
_atom_site_label
_atom_site_type_symbol
_atom_site_fract_x
_atom_site_fract_y
_atom_site_fract_z
Ta1 Ta 0.0000 0.0000 0.0000
Cd1 Cd 0.0000 0.0000 0.5000
Cd2 Cd 0.3333 0.6667 0.5000
Br1 Br 0.0000 0.3251 0.8283
```

Top 10 peaks for 2θ from 5° to 70°, low angle first:
- hkl 1 0 0, 16.34°, d = 5.426 Å, I = 22
- hkl 1 0 1, 19.29°, d = 4.600 Å, I = 28
- hkl 1 1 0, 28.49°, d = 3.133 Å, I = 12
- hkl 2 -1 1, 30.34°, d = 2.946 Å, I = 60
- hkl 0 0 3, 30.92°, d = 2.892 Å, I = 19
- hkl 1 1 2, 35.34°, d = 2.540 Å, I = 100
- hkl 3 0 0, 50.46°, d = 1.809 Å, I = 32
- hkl 2 -1 4, 51.23°, d = 1.783 Å, I = 32
- hkl 3 0 3, 60.36°, d = 1.533 Å, I = 15
- hkl 4 -2 2, 63.11°, d = 1.473 Å, I = 18

---

(3)
This entry pairs a crystal structure of Co2BrCl3 with its simulated powder XRD pattern. Radiation: CuKα. Structure: DFT lattice parameters and positions (PBE).
No peak broadening, texture or thermal motion is included.

Cell and atoms:
```
data_Co2BrCl3
_space_group_name_H-M_alt 'P 1 m 1'
_space_group_IT_number 6
_space_group_name_Hall 'P -2y'
_cell_length_a 6.155
_cell_length_b 3.529
_cell_length_c 6.366
_cell_angle_alpha 90.00
_cell_angle_beta 109.91
_cell_angle_gamma 90.00
loop_
_atom_site_label
_atom_site_type_symbol
_atom_site_fract_x
_atom_site_fract_y
_atom_site_fract_z
Co1 Co 0.000 0.000 0.000
Co2 Co 0.494 0.500 0.994
Br1 Br 0.751 0.000 0.248
Cl1 Cl 0.243 0.500 0.219
Cl2 Cl 0.253 0.000 0.775
Cl3 Cl 0.754 0.500 0.780
```

Top 10 peaks for 2θ from 5° to 70°, low angle first:
- hkl 0 0 1, 14.80°, d = 5.986 Å, I = 100
- hkl 2 0 -1, 29.36°, d = 3.042 Å, I = 15
- hkl 1 1 0, 29.65°, d = 3.013 Å, I = 27
- hkl 2 0 -2, 35.03°, d = 2.561 Å, I = 48
- hkl 1 1 1, 35.66°, d = 2.518 Å, I = 92
- hkl 1 1 -3, 50.16°, d = 1.819 Å, I = 30
- hkl 2 0 2, 50.81°, d = 1.797 Å, I = 15
- hkl 3 1 -1, 51.53°, d = 1.774 Å, I = 30
- hkl 0 2 0, 51.82°, d = 1.764 Å, I = 15
- hkl 2 2 -2, 64.09°, d = 1.453 Å, I = 14

---

(4)
This entry pairs a crystal structure of Co2Br3Cl with its simulated powder XRD pattern. Radiation: CuKα. Structure: DFT lattice parameters and positions (PBE).
No peak broadening, texture or thermal motion is included.

Cell and atoms:
```
data_Co2Br3Cl
_space_group_name_H-M_alt 'P m m 2'